[Brief]
Your job: echo the listing below unchanged.

[Listing]
'''
Record 1
DFT (PBE) results for a relaxed structure of Na8Al2Si5Ge2SO24.

Computed properties:
The energy relative to the elements comes out at -2.645 eV per atom. The energy with MP2020 corrections comes out at -6.868 eV/atom.

Cell and atoms, written as CIF:
```
data_Na8Al2Si5Ge2SO24
_chemical_formula_sum 'Na24 Al6 Si15 Ge6 S3 O72'
_symmetry_space_group_name_H-M 'P 1'
_symmetry_Int_Tables_number 1
_cell_length_a 8.787
_cell_length_b 8.796
_cell_length_c 21.547
_cell_angle_alpha 90.39
_cell_angle_beta 90.72
_cell_angle_gamma 119.80
loop_
_symmetry_equiv_pos_as_xyz
'x,y,z'
loop_
_atom_site_label
_atom_site_type_symbol
_atom_site_fract_x
_atom_site_fract_y
_atom_site_fract_z
_atom_site_occupancy
Na1 Na 0.000 0.000 0.000 1
Na2 Na 0.000 0.634 0.750 1
Na3 Na 0.002 0.267 0.496 1
Na4 Na 0.006 0.633 0.250 1
Na5 Na 0.036 0.956 0.674 1
Na6 Na 0.044 0.329 0.165 1
Na7 Na 0.296 0.961 0.172 1
Na8 Na 0.305 0.599 0.667 1
Na9 Na 0.328 0.295 0.084 1
Na10 Na 0.332 0.927 0.834 1
Na11 Na 0.334 0.656 0.333 1
Na12 Na 0.349 0.303 0.583 1
Na13 Na 0.374 0.630 0.000 1
Na14 Na 0.376 0.001 0.495 1
Na15 Na 0.623 0.620 0.502 1
Na16 Na 0.633 0.256 0.998 1
Na17 Na 0.659 0.332 0.664 1
Na18 Na 0.661 0.962 0.417 1
Na19 Na 0.665 0.596 0.167 1
Na20 Na 0.670 0.962 0.919 1
Na21 Na 0.694 0.290 0.335 1
Na22 Na 0.703 0.657 0.833 1
Na23 Na 0.967 0.293 0.836 1
Na24 Na 0.974 0.931 0.332 1
Al1 Al 0.324 0.294 0.234 1
Al2 Al 0.346 0.296 0.732 1
Al3 Al 0.346 0.307 0.433 1
Al4 Al 0.639 0.953 0.564 1
Al5 Al 0.671 0.950 0.059 1
Al6 Al 0.999 0.627 0.603 1
Si1 Si 0.001 0.341 0.000 1
Si2 Si 0.046 0.289 0.333 1
Si3 Si 0.048 0.009 0.831 1
Si4 Si 0.285 0.623 0.501 1
Si5 Si 0.294 0.921 0.999 1
Si6 Si 0.330 0.573 0.833 1
Si7 Si 0.334 0.008 0.333 1
Si8 Si 0.374 0.962 0.666 1
Si9 Si 0.381 0.672 0.164 1
Si10 Si 0.622 0.578 0.334 1
Si11 Si 0.624 0.293 0.833 1
Si12 Si 0.668 0.674 0.665 1
Si13 Si 0.713 0.337 0.501 1
Si14 Si 0.717 0.625 0.999 1
Si15 Si 0.956 0.962 0.165 1
Ge1 Ge 0.002 0.626 0.896 1
Ge2 Ge 0.003 0.612 0.393 1
Ge3 Ge 0.018 0.648 0.099 1
Ge4 Ge 0.335 0.293 0.937 1
Ge5 Ge 0.652 0.940 0.775 1
Ge6 Ge 0.662 0.943 0.273 1
S1 S 0.000 0.916 0.502 1
S2 S 0.667 0.247 0.167 1
S3 S 0.953 0.248 0.665 1
O1 O 0.022 0.464 0.337 1
O2 O 0.026 0.811 0.838 1
O3 O 0.026 0.832 0.557 1
O4 O 0.043 0.471 0.062 1
O5 O 0.128 0.133 0.894 1
O6 O 0.130 0.250 0.394 1
O7 O 0.130 0.265 0.669 1
O8 O 0.154 0.132 0.172 1
O9 O 0.157 0.599 0.838 1
O10 O 0.157 0.808 0.339 1
O11 O 0.160 0.091 0.499 1
O12 O 0.161 0.593 0.561 1
O13 O 0.166 0.332 0.272 1
O14 O 0.170 0.096 0.772 1
O15 O 0.170 0.847 0.060 1
O16 O 0.180 0.326 0.996 1
O17 O 0.180 0.653 0.161 1
O18 O 0.180 0.784 0.660 1
O19 O 0.201 0.669 0.439 1
O20 O 0.207 0.788 0.939 1
O21 O 0.296 0.454 0.771 1
O22 O 0.300 0.093 0.272 1
O23 O 0.303 0.446 0.494 1
O24 O 0.308 0.113 0.994 1
O25 O 0.350 0.136 0.673 1
O26 O 0.361 0.477 0.172 1
O27 O 0.369 0.129 0.395 1
O28 O 0.375 0.495 0.895 1
O29 O 0.461 0.799 0.227 1
O30 O 0.463 0.918 0.728 1
O31 O 0.483 0.799 0.504 1
O32 O 0.488 0.943 0.008 1
O33 O 0.489 0.482 0.670 1
O34 O 0.498 0.247 0.894 1
O35 O 0.499 0.005 0.607 1
O36 O 0.503 0.503 0.394 1
O37 O 0.503 0.765 0.105 1
O38 O 0.507 0.772 0.831 1
O39 O 0.508 0.265 0.169 1
O40 O 0.511 0.985 0.328 1
O41 O 0.516 0.315 0.494 1
O42 O 0.522 0.448 0.995 1
O43 O 0.539 0.455 0.272 1
O44 O 0.543 0.336 0.772 1
O45 O 0.642 0.774 0.605 1
O46 O 0.645 0.141 0.110 1
O47 O 0.646 0.777 0.329 1
O48 O 0.648 0.118 0.826 1
O49 O 0.694 0.168 0.224 1
O50 O 0.694 0.798 0.004 1
O51 O 0.698 0.143 0.507 1
O52 O 0.710 0.800 0.728 1
O53 O 0.803 0.583 0.061 1
O54 O 0.804 0.467 0.561 1
O55 O 0.820 0.469 0.839 1
O56 O 0.824 0.608 0.341 1
O57 O 0.826 0.424 0.165 1
O58 O 0.827 0.148 0.007 1
O59 O 0.830 0.918 0.227 1
O60 O 0.838 0.423 0.439 1
O61 O 0.843 0.668 0.939 1
O62 O 0.844 0.117 0.325 1
O63 O 0.844 0.652 0.661 1
O64 O 0.844 0.940 0.507 1
O65 O 0.849 0.988 0.827 1
O66 O 0.850 0.173 0.722 1
O67 O 0.866 0.998 0.106 1
O68 O 0.867 0.138 0.610 1
O69 O 0.961 0.426 0.939 1
O70 O 0.966 0.808 0.444 1
'''

[Reply]
Record 1
DFT (PBE) results for a relaxed structure of Na8Al2Si5Ge2SO24.

Computed properties:
The energy relative to the elements comes out at -2.645 eV per atom. The energy with MP2020 corrections comes out at -6.868 eV/atom.

Cell and atoms, written as CIF:
```
data_Na8Al2Si5Ge2SO24
_chemical_formula_sum 'Na24 Al6 Si15 Ge6 S3 O72'
_symmetry_space_group_name_H-M 'P 1'
_symmetry_Int_Tables_number 1
_cell_length_a 8.787
_cell_length_b 8.796
_cell_length_c 21.547
_cell_angle_alpha 90.39
_cell_angle_beta 90.72
_cell_angle_gamma 119.80
loop_
_symmetry_equiv_pos_as_xyz
'x,y,z'
loop_
_atom_site_label
_atom_site_type_symbol
_atom_site_fract_x
_atom_site_fract_y
_atom_site_fract_z
_atom_site_occupancy
Na1 Na 0.000 0.000 0.000 1
Na2 Na 0.000 0.634 0.750 1
Na3 Na 0.002 0.267 0.496 1
Na4 Na 0.006 0.633 0.250 1
Na5 Na 0.036 0.956 0.674 1
Na6 Na 0.044 0.329 0.165 1
Na7 Na 0.296 0.961 0.172 1
Na8 Na 0.305 0.599 0.667 1
Na9 Na 0.328 0.295 0.084 1
Na10 Na 0.332 0.927 0.834 1
Na11 Na 0.334 0.656 0.333 1
Na12 Na 0.349 0.303 0.583 1
Na13 Na 0.374 0.630 0.000 1
Na14 Na 0.376 0.001 0.495 1
Na15 Na 0.623 0.620 0.502 1
Na16 Na 0.633 0.256 0.998 1
Na17 Na 0.659 0.332 0.664 1
Na18 Na 0.661 0.962 0.417 1
Na19 Na 0.665 0.596 0.167 1
Na20 Na 0.670 0.962 0.919 1
Na21 Na 0.694 0.290 0.335 1
Na22 Na 0.703 0.657 0.833 1
Na23 Na 0.967 0.293 0.836 1
Na24 Na 0.974 0.931 0.332 1
Al1 Al 0.324 0.294 0.234 1
Al2 Al 0.346 0.296 0.732 1
Al3 Al 0.346 0.307 0.433 1
Al4 Al 0.639 0.953 0.564 1
Al5 Al 0.671 0.950 0.059 1
Al6 Al 0.999 0.627 0.603 1
Si1 Si 0.001 0.341 0.000 1
Si2 Si 0.046 0.289 0.333 1
Si3 Si 0.048 0.009 0.831 1
Si4 Si 0.285 0.623 0.501 1
Si5 Si 0.294 0.921 0.999 1
Si6 Si 0.330 0.573 0.833 1
Si7 Si 0.334 0.008 0.333 1
Si8 Si 0.374 0.962 0.666 1
Si9 Si 0.381 0.672 0.164 1
Si10 Si 0.622 0.578 0.334 1
Si11 Si 0.624 0.293 0.833 1
Si12 Si 0.668 0.674 0.665 1
Si13 Si 0.713 0.337 0.501 1
Si14 Si 0.717 0.625 0.999 1
Si15 Si 0.956 0.962 0.165 1
Ge1 Ge 0.002 0.626 0.896 1
Ge2 Ge 0.003 0.612 0.393 1
Ge3 Ge 0.018 0.648 0.099 1
Ge4 Ge 0.335 0.293 0.937 1
Ge5 Ge 0.652 0.940 0.775 1
Ge6 Ge 0.662 0.943 0.273 1
S1 S 0.000 0.916 0.502 1
S2 S 0.667 0.247 0.167 1
S3 S 0.953 0.248 0.665 1
O1 O 0.022 0.464 0.337 1
O2 O 0.026 0.811 0.838 1
O3 O 0.026 0.832 0.557 1
O4 O 0.043 0.471 0.062 1
O5 O 0.128 0.133 0.894 1
O6 O 0.130 0.250 0.394 1
O7 O 0.130 0.265 0.669 1
O8 O 0.154 0.132 0.172 1
O9 O 0.157 0.599 0.838 1
O10 O 0.157 0.808 0.339 1
O11 O 0.160 0.091 0.499 1
O12 O 0.161 0.593 0.561 1
O13 O 0.166 0.332 0.272 1
O14 O 0.170 0.096 0.772 1
O15 O 0.170 0.847 0.060 1
O16 O 0.180 0.326 0.996 1
O17 O 0.180 0.653 0.161 1
O18 O 0.180 0.784 0.660 1
O19 O 0.201 0.669 0.439 1
O20 O 0.207 0.788 0.939 1
O21 O 0.296 0.454 0.771 1
O22 O 0.300 0.093 0.272 1
O23 O 0.303 0.446 0.494 1
O24 O 0.308 0.113 0.994 1
O25 O 0.350 0.136 0.673 1
O26 O 0.361 0.477 0.172 1
O27 O 0.369 0.129 0.395 1
O28 O 0.375 0.495 0.895 1
O29 O 0.461 0.799 0.227 1
O30 O 0.463 0.918 0.728 1
O31 O 0.483 0.799 0.504 1
O32 O 0.488 0.943 0.008 1
O33 O 0.489 0.482 0.670 1
O34 O 0.498 0.247 0.894 1
O35 O 0.499 0.005 0.607 1
O36 O 0.503 0.503 0.394 1
O37 O 0.503 0.765 0.105 1
O38 O 0.507 0.772 0.831 1
O39 O 0.508 0.265 0.169 1
O40 O 0.511 0.985 0.328 1
O41 O 0.516 0.315 0.494 1
O42 O 0.522 0.448 0.995 1
O43 O 0.539 0.455 0.272 1
O44 O 0.543 0.336 0.772 1
O45 O 0.642 0.774 0.605 1
O46 O 0.645 0.141 0.110 1
O47 O 0.646 0.777 0.329 1
O48 O 0.648 0.118 0.826 1
O49 O 0.694 0.168 0.224 1
O50 O 0.694 0.798 0.004 1
O51 O 0.698 0.143 0.507 1
O52 O 0.710 0.800 0.728 1
O53 O 0.803 0.583 0.061 1
O54 O 0.804 0.467 0.561 1
O55 O 0.820 0.469 0.839 1
O56 O 0.824 0.608 0.341 1
O57 O 0.826 0.424 0.165 1
O58 O 0.827 0.148 0.007 1
O59 O 0.830 0.918 0.227 1
O60 O 0.838 0.423 0.439 1
O61 O 0.843 0.668 0.939 1
O62 O 0.844 0.117 0.325 1
O63 O 0.844 0.652 0.661 1
O64 O 0.844 0.940 0.507 1
O65 O 0.849 0.988 0.827 1
O66 O 0.850 0.173 0.722 1
O67 O 0.866 0.998 0.106 1
O68 O 0.867 0.138 0.610 1
O69 O 0.961 0.426 0.939 1
O70 O 0.966 0.808 0.444 1